Wednesday, January 30, 2008

Where to begin

I don't even know where to begin with this blog.

Let's start with the good news. My PartyLite business is going pretty well. I really enjoy doing the shows. I have a lot of fun. More parties mean more money.

Money - I hate stressing about money. It truly is the root of all evil, but it would be nice to have more of it. I admit it - I am the worst when it comes to setting a budget. I really wish Scott would take care of the finances again. It just stresses me out so much!

Another item of not so wonderful news, my mother fell at home on Sunday and fractured her pelvic. She was in the hospital for a few days and was moved to the rehab center last night. That is good news, but I can't seem to shake this feeling that the end is coming near. I just don't know what I am going to do when she leaves us. I know its coming and have been preparing it for a long time now, but when it actually happens, it will crush me like no other blow. I cry just thinking about it. Tears are streaming down my face as I type this. However, I have to be strong. Strong for her, for my dad, for my kids, for myself. Tomorrow is her 82nd birthday. She's had a long, happy life. I just want her in mine and my kids for a lot longer. It just stinks - a lot.

Ok, enough crying. I have a lot to do this week. Courtney has her First Confession tomorrow, and Mason's birthday party is on Saturday. Plenty to do. Plenty to keep my mind off my woes. Until next time.....

Wednesday, January 23, 2008

DNA test please!!!

I received Courtney's report card today. Straight A's!!!! If that wasn't enough to make my heart sing, I also received her reading assessment. Remember she is in the second grade, however she is reading at the level of a 5th grader in their 4th month!!! I am so proud of her. However, this does beg the question - is this REALLY our child????? Don't get me wrong, Scott and I aren't stupid people, but to have a child reading 3 grade levels above her while in the 2nd grade just baffles me. I guess reading Goodnight Moon and the other story books floating around this house must have paid off. Now, if we could only the same results from our other two....

Until next time....

Wednesday, January 16, 2008

My son's internal thermonitor is off....

Ok, Mason can drive me crazy at times, but this just takes the cake. All summer long, he would put on long pants and long sleeve shirts. I would tell him to change as it is way too hot (in the high 90's) to wear that. We would argue about it, and he would reluctantly change into a t-shirt and shorts.

This morning the tempature was in the 40's, and Mason decided he wanted to wear a t-shirt and shorts to school. UGH!!!! After much discussion and taking him outside in his shorts and t-shirt, he changed into long pants and a long sleeve shirt. I can't wait to see what he wants to wear tomorrow!!!!

Sunday, January 13, 2008

Hello, my name is Barb and I am a

Hugger. Yep, I'm a huge hugger. The bigger the hug, the better. When people ask if I like hugs or kisses better, the answer is always hugs. Love the hugs. That is probably why you always seeing me hug my kids. Huge hugger, I tell you, huge!!!

The problem I find being a Hugger is that I don't know how to hug those who aren't huggers. You know the ones I am talking about. If they hug at all, they put one arm around you and pat you on the back. Now, don't get me wrong. I understand that not everyone is a hugger. I may not understand why, but I do acknowledge they exist. When I am faced with a non-hugger or a one arm patter, I find myself a bit flustered. What do I do with my arms??? Do I keep them by my side???? Cross them???? Swing them???? Do I pat the patter????

I have come to realize that I am what I am. So, with that being said, I will hereby give everyone big hugs when I see them. For all of you patters out there, be warned, I will give you a bigger squeeze for every pat you give me. The non-huggers, well, don't be alarmed if I start flailing my arms about for they just don't know what to do in those situations.

Well, I am off to give my children huge hugs goodnite. To all my friends - {{{{{hugs}}}}} - love you. Until next time.....

Saturday, January 12, 2008

May I see your ID?

"Most certainly!" was my response when the cashier at the grocery asked for my ID for my beer and wine. Let me tell you, I will gladly show anyone my ID if they ask for it. Well, maybe not so "gladly" if its a police officer who pulled me over for speeding or if someone wants to verify I don't qualify for the Senior discount. However, that cashier set the tone for the remainder of the day - it was a VERY good day!

With the exception of my room and my bathroom, my house was immaculate! I can always close my bedroom door! I made a deal with Mason at the beginning of the week that if he kept his room clean all week, he could stay for lunch on Friday at school. He got lunch at school yesterday! That is quite a feat for my little man. I am very proud of him. Let's hope this little motivation will carry us through the school year.

Last night was my starter show for PartyLite. I decided that I wanted to contribute to our household income while still staying at home with my kids. I really don't want to go back to work at least not now. Maybe once they are all in school, I will get a part-time job. They key word there is Maybe!

Anyway, I digress. As I said last night was my starter show. I had a pretty decent turn out. In order for me to obtain my kit, I must have at least 6 shows booked within 30 days of my getting my kit. I have 7!!!! I am very excited. As some of you know, I did Big Yellow Box for a short time while it was still in business. I think I had 7 shows total with Big Yellow Box so I am definitely off to a good start.

My nephew's fiancee found a dress she wants the girls to wear in the wedding. It is a mini-version of hers. It is very pretty. Below is a picture.

Well, I better get going. Mason has a bowling birthday party this afternoon and we still need to get a present. Until next time....

Tuesday, January 8, 2008

Back to school

Well, the kids went back to school today. Let me tell you, I am exhausted!!! I am not sure if I am tired because they were all home 24/7 or because I haven't gotten a good nights sleep in weeks. Maybe its a combination of the two. Now maybe I can get some things done around the house and get back to my workout routine. What I know for sure, I am going to bed early tonight!!! Now if Makenna would only stay in her own bed at night. Nothing like trying to roll over only to be blocked by a 2 year old snuggling right up to you.

Here are a couple of flower girl dresses I found on-line. I have sent them to my sister to get my nephew's fiancee's opinion. Courtney is getting very excited.

Well, I better get these invoices out so we can get some money and pay bills. Until next time....

Wednesday, January 2, 2008

My New Years Resolutions - subject to change without notice

Happy New Year!!!!

I remember when I was under 21, I couldn't wait until I was of drinking age so I could truly celebrate New Years as it was intended - drinking heavily and regretting it the next day. However as I get closer and closer to 40, I find myself celebrating New Years in the comfort of my own family room watching tv in my jammies. I must admit there have been a few times where I have slept through the ball dropping. I blame the children. Totally their fault!

Ok, here are my New Year Resolutions (as of right now)

1. Keep the game room, family room, kitchen, and the kids' bathroom clean. I say this as my children are chasing each other through the house while the dogs are play fighting with each other. Toys everywhere!

(Here the text breaks off for materials data)
# 1
This record from the Materials Project describes a geometry-optimized Ag2S structure. The functional is PBE.

Calculated values
energy of formation: -0.151 eV/atom

a = 4.4180 Å, b = 4.4180 Å, c = 4.4180 Å
α = 60.00°, β = 60.00°, γ = 60.00°
Fractional positions:
1 Ag 0.7500 0.7500 0.7500
2 Ag 0.2500 0.2500 0.2500
3 S 0.0000 0.0000 0.0000


# 2
This record from the Materials Project describes a geometry-optimized Te6Mo3WSe2 structure. The functional is PBE.

Calculated values
polymorph energy (0 for the lowest one): 0.22 eV/f.u.
energy of formation: -0.384 eV/atom

a = 3.4985 Å, b = 3.4985 Å, c = 39.5810 Å
α = 90.00°, β = 90.00°, γ = 120.00°
Fractional positions:
1 Te 0.3333 0.6667 0.3283
2 Te 0.3333 0.6667 0.7038
3 Te 0.6667 0.3333 0.4234
4 Te 0.6667 0.3333 0.5159
5 Te 0.3333 0.6667 0.2352
6 Te 0.3333 0.6667 0.6112
7 Mo 0.3333 0.6667 0.0939
8 Mo 0.3333 0.6667 0.4697
9 Mo 0.6667 0.3333 0.6576
10 W 0.6667 0.3333 0.2818
11 Se 0.6667 0.3333 0.0530
12 Se 0.6667 0.3333 0.1348


# 3
This record from the Materials Project describes a geometry-optimized SiO2 structure. The functional is PBE.

Calculated values
energy of formation: -3.058 eV/atom

a = 17.3736 Å, b = 17.3736 Å, c = 13.0258 Å
α = 90.00°, β = 90.00°, γ = 120.00°
Fractional positions:
1 Si 0.8742 0.4371 0.1667
2 Si 0.8364 0.2761 0.2838
3 Si 0.1258 0.5629 0.1667
4 Si 0.8364 0.5602 0.0495
5 Si 0.6202 0.0000 0.5000
6 Si 0.2761 0.4398 0.9505
7 Si 0.5629 0.1258 0.5000
8 Si 0.4398 0.1636 0.6172
9 Si 0.2761 0.8364 0.3829
10 Si 0.3798 0.3798 0.8333
11 Si 0.1636 0.4398 0.0495
12 Si 0.3798 0.0000 0.5000
13 Si 0.6202 0.6202 0.8333
14 Si 0.0000 0.6202 0.1667
15 Si 0.4371 0.5629 0.8333
16 Si 0.5602 0.8364 0.6172
17 Si 0.4371 0.8742 0.5000
18 Si 0.7239 0.5602 0.9505
19 Si 0.0000 0.3798 0.1667
20 Si 0.4398 0.2761 0.7162
21 Si 0.1636 0.7239 0.2838
22 Si 0.5602 0.7239 0.7162
23 Si 0.7239 0.1636 0.3829
24 Si 0.5629 0.4371 0.8333
25 O 0.2536 0.4318 0.0762
26 O 0.9346 0.5297 0.2325
27 O 0.2958 0.3623 0.9070
28 O 0.5382 0.1814 0.5818
29 O 0.3623 0.2958 0.7596
30 O 0.4618 0.8186 0.5818
31 O 0.7042 0.6377 0.9070
32 O 0.5682 0.7464 0.5905
33 O 0.4048 0.9346 0.5659
34 O 0.5682 0.8218 0.7428
35 O 0.4048 0.4703 0.7675
36 O 0.5952 0.0654 0.5659
37 O 0.7464 0.5682 0.0762
38 O 0.6431 0.4618 0.9151
39 O 0.5952 0.5297 0.7675
40 O 0.4703 0.0654 0.4341
41 O 0.5297 0.5952 0.8992
42 O 0.0654 0.4703 0.2325
43 O 0.8218 0.5682 0.9238
44 O 0.3569 0.5382 0.9151
45 O 0.3623 0.0664 0.5737
46 O 0.0664 0.7042 0.2404
47 O 0.6431 0.1814 0.4182
48 O 0.7464 0.1782 0.2572
49 O 0.8218 0.2536 0.4095
50 O 0.6377 0.7042 0.7596
51 O 0.2536 0.8218 0.2572
52 O 0.8186 0.3569 0.2484
53 O 0.7042 0.0664 0.4263
54 O 0.4318 0.1782 0.7428
55 O 0.0654 0.5952 0.1008
56 O 0.4318 0.2536 0.5905
57 O 0.1814 0.6431 0.2484
58 O 0.6377 0.9336 0.5737
59 O 0.5297 0.9346 0.4341
60 O 0.3569 0.8186 0.4182
61 O 0.9346 0.4048 0.1008
62 O 0.0664 0.3623 0.0930
63 O 0.9336 0.2958 0.2404
64 O 0.2958 0.9336 0.4263
65 O 0.5382 0.3569 0.7516
66 O 0.1782 0.7464 0.4095

2. Exercise more. Just watching my children is exhausting and I am currently writing on my blog thus staying out of the way of my racing children and fighting dogs.

3. Drink more water. As I am planning on having a beer or two or three for dinner. Again, children and dogs in the house all day long.

4. Make a budget and stick to it. Dang, I think we are almost out of beer!!!!!

Yeah, I am not sure how these resolutions are going to work for me. Its too early to tell. Maybe I should hold off on implementing these until after the kids go back to school next week....

In addition to resolutions, I also like to make a few goals for myself for the year. Yep, you guessed it, here are my goals.

1. Potty train Makenna
2. Get Mason to stop sucking his thumb
3. Stop yelling so much
4. Get my closets organized

Wow, my goals seem to revolve around my children. Such the mom! I can only imagine what my goals would be if I didn't have my kids. Let see, come home from the bars at least 4 hours before I have to be work, only buy 12 pairs of shoes, organize another girls week-end to Vegas (notice I said ANOTHER as to imply we already had one or more), etc. Ahh, the joys of having children!!!

Well, I better make sure the kids are still in one piece, nothing is broken, and let the dogs out of the house. Until next time.....